Ren'Py - Harem Residence [v0.12] [Vendena]

  1. 5.00 star(s)


    Let me premise this by reminding prospective players that this is still early in development. That, and I found this game by happy accident.
    That said, what we do get is actually very good.

    The characters, while 'standard', aren't tropey and stand on their own pretty well. If anything, the game leans, and leans well, into creating a very 'harmonious' harem fueled largely in part to the bold shamelessness of many of its heroines.... which is honestly pretty refreshing. The harem is less the MC's idea(or even initial desire) and more of the heroines forming it on their own centered around the MC. They're all quite likable and have great character interactions.... though, they are kinda nuts.
    Likewise, bc the cast is fairly large, stories and plots are smartly handled in 'groups' based on the proximity of their relationships to us, the MC. Eg: housemates, coworkers, friends, etc.

    The game's presentation is simple, but well done with a very 'classic' VN feel.

    Same with the UI. It lacks style and could use some polish, but is functional and to the point without too much clutter.
    Hopefully, future builds will improve/polish the look.

    The writing, minor gramnar gripes aside, is genuinely good and funny without being over the top or bland. It has a 'familar' feel to it yet isn't stale so make of that as you will.

    The MC, who is important bc he is 'us', is very 'go with the flow' but not blank. He's just a normal guy who has a penchant for being a little too eager to help girls in trouble.

Next to the text, the page also holds calculated crystals:
********
Compound: Nd2NCl3
Source: Materials Project
Functional: r2SCAN
Structure: optimized geometry

Cell and atoms, written as extended XYZ:
```
24
Lattice="13.475 0.000 0.000 0.000 6.876 0.000 0.000 0.000 6.270" Properties=species:S:1:pos:R:3 pbc="T T T"
Nd 1.240 1.210 0.037
Nd 1.240 5.665 3.171
Nd 5.497 2.227 3.171
Nd 5.497 4.648 0.037
Nd 7.978 2.227 6.233
Nd 7.978 4.648 3.098
Nd 12.235 1.210 3.098
Nd 12.235 5.665 6.233
N 0.000 0.052 4.702
N 0.000 6.824 1.567
N 6.738 3.386 1.567
N 6.738 3.490 4.702
Cl 0.000 3.426 4.702
Cl 0.000 3.450 1.567
Cl 2.938 0.956 2.484
Cl 2.938 5.920 5.619
Cl 3.799 2.482 5.619
Cl 3.799 4.394 2.484
Cl 6.738 0.012 1.567
Cl 6.738 6.864 4.702
Cl 9.676 2.482 3.786
Cl 9.676 4.394 0.651
Cl 10.537 0.956 0.651
Cl 10.537 5.920 3.786
```

Calculated values
- total DFT energy (no corrections) (eV per atom) = -16.789
- space group = Pbcn
- formation energy from the elements (eV/f.u.) = -14.31

=====

Compound: P3NCl12
Source: Materials Project
Functional: r2SCAN
Structure: optimized geometry

Cell and atoms, written as extended XYZ:
```
128
Lattice="11.741 0.000 0.000 0.000 21.087 0.000 -7.703 0.000 13.937" Properties=species:S:1:pos:R:3 pbc="T T T"
P -3.106 4.581 6.089
P -6.958 5.963 13.058
P -2.069 11.199 4.664
P -5.921 20.432 11.632
P -5.455 11.333 11.762
P -1.603 20.298 4.794
P 2.324 4.376 5.138
P -1.528 6.167 12.106
P -0.166 11.150 9.987
P 3.686 20.480 3.018
P 1.959 15.269 6.292
P -1.892 16.362 13.260
P 5.930 4.725 0.677
P 2.078 5.818 7.645
P 0.351 0.607 10.919
P 4.203 9.937 3.950
P 5.565 14.920 1.831
P 1.713 16.711 8.799
P 5.641 0.789 9.143
P 9.492 9.754 2.175
P 9.958 0.655 2.305
P 6.107 9.888 9.273
P 10.995 15.124 0.879
P 7.144 16.506 7.848
N -1.322 0.343 3.759
N -5.174 10.200 10.728
N -1.943 5.048 13.104
N 1.909 5.495 6.135
N 2.129 15.591 7.802
N 5.981 16.039 0.833
N 9.212 10.887 3.209
N 5.360 20.744 10.178
Cl -0.890 2.270 1.651
Cl -4.741 8.274 8.619
Cl -7.124 15.297 13.094
Cl -3.272 16.334 6.125
Cl -1.800 4.434 4.384
Cl -5.651 6.110 11.353
Cl -4.191 1.076 8.779
Cl -0.339 9.468 1.810
Cl -6.330 0.789 12.904
Cl -2.478 9.754 5.936
Cl 0.386 13.417 1.577
Cl -3.466 18.213 8.545
Cl -4.741 13.073 11.184
Cl -0.889 18.557 4.216
Cl -3.296 15.195 8.948
Cl 0.555 16.435 1.980
Cl -5.840 4.242 13.769
Cl -1.989 6.301 6.800
Cl -1.831 3.288 7.215
Cl 2.021 7.255 0.246
Cl -0.135 11.500 4.800
Cl -3.987 20.130 11.768
Cl -4.607 10.885 13.467
Cl -0.755 20.746 6.499
Cl 0.069 15.122 5.739
Cl -3.783 16.508 12.708
Cl -1.543 12.459 9.009
Cl 2.309 19.172 2.041
Cl 1.704 4.830 3.342
Cl -2.147 5.713 10.310
Cl 2.464 1.097 2.468
Cl -1.388 9.447 9.436
Cl 2.828 11.272 2.949
Cl -1.024 20.358 9.918
Cl 1.572 2.620 5.595
Cl -2.280 7.923 12.564
Cl 3.615 14.680 1.931
Cl -0.237 16.951 8.900
Cl -0.871 2.281 10.356
Cl 2.981 8.263 3.387
Cl -1.290 11.346 11.843
Cl 2.561 20.284 4.874
Cl 0.957 10.937 8.163
Cl 4.808 20.694 1.194
Cl -1.092 15.007 12.080
Cl 2.760 16.624 5.112
Cl 5.090 3.011 1.082
Cl 1.238 7.533 8.050
Cl 2.800 13.554 5.886
Cl -1.052 18.076 12.855
Cl 1.278 4.463 8.825
********

    One bad habit in games like these is giving the MC too much personality, which this game avoids.
    Rather, HR takes the Ethan Winters from RE7/8 approach to creating a defined yet open SI MC.
    It's not as popular a thing in Western mainstream gaming, but for a roleplaying, harem loving dork like me? It's perfect.

    Nothing feels too grindy either. Sure things take time and effirt to build up, but the payoff's there and you definitely feel it.

    4.8/5 due to its still in development lack of polish. It's got a LOT of potential though and comes highly recommended to at least give a try.
  2. 3.00 star(s)


    This game is what some would call "mid."

    The writing is alright, not enough to really be romantic but more than neccessary for just a sex game. The sex scenes are not great but I mostly play for the story or love interest so it doesn't matter to me. Character are stereotypical but not complete tropes and character design is okay but nothing unique. Render quality is slightly above average and the 2d backgrounds aren't jarring. I really dislike sandboxes but as long as it's not grindy I can look past it.

    This game is simply okay. Nothing stunning or that hasn't been done before.
  3. 1.00 star(s)


    Kinetic novel disguised with sandbox.
    Can't reject LI.
    Unavoidable lesbian, girls fucking each other's with strap-on with and without mc presence.
    Awfull sex scenes.
    Less than average game with a free for all arrangements of LI, they going behind mc back, no agency whatsoever, not worth sex scenes, bad sandbox . Average plot
  4. 4.00 star(s)


    Loving your work!

    But a review is hardly constructive with just praise huh?
    If I have to pick on something, it would be the english grammar. I have only noticed a few wording errors, and it does not bother me... but I do recommend getting an editor to look over things at a later date.

    I'd volunteer myself but I'm not familiar with the software.

    Regardless, I am eager for the next release so thank you... and good luck! I'll be watching closely!
  5. 1.00 star(s)


    Honestly, excluding the sex scenes this game is passable. Not great, but not bad. It hides the fact that it's a kinetic novel with a sandbox that is 100% unnecessary; it's just a way to waste your time and disguise that you don't have any actual choices here. You have zero control over who becomes a LI, what content you see, and zero agency over the MC's behavior.

    Unfortunately, when you combine the sex scenes it becomes absolutely terrible. I'm not just saying that because there are no animations, either. There just isn't any effort put into the scenes at all. There are laughably few renders for each sex scene(it's koikatsu, stop being so stingy), and if that's not bad enough, the dev feels some strange need to have 5+ lines of "MNAHH HAHH MWAHH ANNHHHH" for every render. If you can't make animations, you need something else to make up for it. Either really good text and/or a lot of still-renders that take advantage of not having to make passable animations. I kept playing with the hopes this dev would improve in some way and it just never happens. You'll spend hours skipping time, navigating the sandbox, and checking the guide every 5 seconds just to get rewarded with a shitty 3-4 still-rendered sex scene where the dev thinks it's reasonable to just repeat moans over and over and over and over and over while you stare at the same generic koikatsu render.

    No idea how this one is so highly rated, but if you're here for the 18+ portion of the game, just leave now. It's not worth it.
  6. 4.00 star(s)


    Ok learn from this, you put 5-6 questions at the start asking about the age, events, content and characters over 18. I get it, one of the questions was misleading and usually the answers are all affirmative to enter the game.
    I've done it 3 times because of this and the WORST part was the annoying sound at the end of those questions.

    Edit: (Now it's only two standard questions easy to read still have that jingle but it's alright changed my review to 4 stars)
  7. 5.00 star(s)

Here the article breaks off for records of crystals =
____________
Entry 1:
A relaxed structure of LiNb5O8. Source: Materials Project, functional PBE.

```
LiNb5O8
1.0
-3.691 5.444 -7.224
1.484 -6.065 -5.329
-8.171 -6.255 -0.539
Nb O Li
20 32 4
Cartesian
-2.460 -6.673 -5.250
-7.918 -0.203 -7.841
-6.412 2.100 -6.420
-7.566 -8.297 -7.515
-9.733 -2.157 -5.192
-2.813 1.421 -5.576
-2.058 -2.769 -6.068
-2.533 -2.448 -2.143
-6.501 -2.286 -9.863
-3.966 -8.976 -6.672
-3.878 -4.590 -3.229
-2.804 -2.710 -8.808
-1.548 -0.437 -7.896
-7.574 -4.166 -4.283
-8.830 -6.439 -5.195
-5.177 -7.322 -4.447
-7.846 -4.428 -10.948
-5.201 0.446 -8.645
-8.321 -4.107 -7.024
-0.646 -4.720 -7.900
-10.149 -4.531 -7.983
-8.714 -6.215 -10.153
-3.363 -0.710 -8.766
-1.665 -0.661 -2.939
-2.415 -0.651 -5.862
-0.664 -3.330 -2.214
-5.745 -7.911 -6.414
-4.229 -5.601 -5.209
-5.723 -0.376 -10.571
-3.318 3.422 -5.374
-3.808 -3.104 -7.044
-1.613 -4.853 -6.052
-8.766 -2.024 -7.040
-8.070 -2.137 -4.022
-7.549 0.509 -5.929
-2.952 -3.005 -4.100
-4.633 1.035 -6.678
-6.571 -3.772 -6.048
-0.229 -2.345 -5.108
-7.427 -3.871 -8.992
-6.150 -1.276 -7.883
-7.015 -6.166 -4.325
-4.622 -3.097 -9.871
-8.200 -5.203 -12.873
-7.963 -6.225 -7.230
-4.656 -6.500 -2.521
-2.830 -7.385 -7.162
-2.179 -1.673 -0.219
-9.714 -3.546 -10.877
-5.757 -3.779 -3.221
-2.308 -4.739 -9.069
-7.061 -10.298 -7.717
-5.454 -2.235 -6.412
-10.877 -3.389 -9.300
0.499 -3.487 -3.791
-4.925 -4.641 -6.679
```

space-group type: P2_1/c

=====

Entry 2:
A relaxed structure of Cd2S. Source: Materials Project, functional PBE.

```
Cd2S
1.0
-1.177 2.565 -2.782
-2.680 -2.152 1.972
-0.395 4.176 4.019
Cd S
2 1
Cartesian
-2.548 3.316 4.136
-1.907 3.410 1.129
-2.324 0.948 1.857
```

space-group type: P3m1

=====

Entry 3:
A relaxed structure of Nd3TiCl5O4. Source: Materials Project, functional PBE.

```
Nd3TiCl5O4
1.0
4.046 0.000 0.000
0.000 14.624 0.000
0.000 0.000 16.739
Cl Nd O Ti
20 12 16 4
Cartesian
1.011 11.469 8.726
3.034 13.785 7.465
3.034 4.157 16.383
1.011 8.779 13.353
3.034 10.611 11.372
3.034 1.467 11.756
3.034 11.324 3.002
3.034 5.845 3.386
1.011 0.838 9.274
1.011 10.467 0.356
3.034 3.155 8.013
3.034 8.726 8.095
3.034 8.150 15.834
3.034 13.210 16.465
1.011 13.157 4.983
1.011 1.414 0.274
1.011 4.012 5.367
1.011 5.898 8.644
1.011 6.474 0.905
1.011 3.300 13.737
3.034 8.545 2.020
3.034 1.185 14.723
3.034 11.132 6.199
1.011 8.497 10.386
1.011 1.233 6.350
1.011 13.439 2.016
1.011 6.079 14.719
3.034 6.127 6.353
1.011 3.820 2.171
1.011 3.491 10.540
3.034 10.803 14.568
3.034 13.391 10.389
3.034 1.315 5.340
3.034 13.286 13.251
3.034 2.921 2.577
1.011 11.703 14.162
3.034 14.346 2.535
1.011 7.034 5.835
1.011 5.974 11.858
1.011 1.338 3.488
1.011 13.308 11.399
1.011 10.233 5.792
3.034 5.997 13.710
1.011 8.627 3.029
3.034 7.590 10.904
3.034 4.391 10.947
1.011 0.278 14.204
3.034 8.650 4.881
1.011 13.314 13.246
1.011 8.622 4.876
3.034 6.002 11.863
3.034 1.310 3.493
```

space-group type: Pnma

=====

Entry 4:
A relaxed structure of TaTl2AgS4. Source: Materials Project, functional PBE.

```
TaTl2AgS4
1.0
10.620 0.000 0.000
____________


    Never thought I would be so into this game, but here I am with a 5 stars review~

    I will keep it short. The girls are cute with unique personality and backstory while don't belong to any obnoxious personality tropes. The H isn't out of nowhere. The story is solid. There is no unfavorable tag.

    Overall, literal gem. Wish devs lots of luck and looking towards for more~
  8. 4.00 star(s)


    "Harem Residence"(0.06) it title self explain MC get property fill it with women to become it sex toy.. story is simple go direct to the point, have basic build upgrade for property(which is needed for MC further it pursue of happiness with the lady... at begining grind for cash is slow(Dev add cheat LOVE it) so no Blueball game..

    Graphic remind me of Kotkatsu game, can be improve with more animation but also DEV need more fund or support on patreon.. i say if you play game for free what to complaint is OKAY

    Music/sex sound is not missing is okay cannot complaint not perfect but hey! is available..

    Wish on this game... 1)not be abandone 2)deep down my heart wish Dev in good continuum health 3)Sleep sex(MC already been violated by Female)? panty collection Fetish or can be use to sell(as another source income) or sniff ? 4) wish more support for Dev in patreon.
  9. 5.00 star(s)


    A relatively new game with a lot of content already.
    Simple story but very cute models and decent mechanics. Extremely promising, keep up the good work!
    The Ayase, Kasumi and Sanae combination scenes are really nice. Looking forward to some more Otome content.
  10. 1.00 star(s)


    Why theres always forced sex in these games would much better if you have a choice to decline femdom and kinetic novel tag r missing if there where there i wouldnt download it 1 star for this if you had a choice i would give 5
  11. 5.00 star(s)


    Wonderful game. I'm very surprised that this is as unknown as it is. Definitely going to be a big hit in the future given it receives consistent updates.

    It's very easy to see that the dev's put a ton of work into making everything look neat. The renders are consistent, the plot, while overused, is executed good enough, the girls are varied and have character, the UI elements are crisp and on point.

    Honestly got nothing negative to say. Sure, there's some content missing with many of the girls, but considering how much there is to do with at such an early stage you can't really complain.
  12. 5.00 star(s)


    This game has a little bit of everything, and it was literally just released. There are already hours of content, and many more to be added. This is a game to definitely look out for! I'll be following every update because I can't wait to see what instore next!
  13. 5.00 star(s)


    For an initial release, the game has a LOT of content. It is also all mostly good content. There is more than enough to make it worth checking out at this stage.

    The girls are all pretty fun, with some having more unique looks that I haven't seen used in other Koikatsu games. And there are a lot of girls! Most of them feel very well fleshed out for an intitial release. The H content is good. I wish it was animated, instead its a couple stills per H scene. But there is music and sex noises, which personally helps me with H scenes that are not animated.

    I am slightly concerned about just how many girls there are so early. Its a blessing and a curse - I love the variety and I enjoy most of them. But there are so many girls to make content for, it will be a real challenge to update enough that people get enough content with their favorite girl.

    Lots of potential here. It is a strong start for the game, will definitely be watching and likely supporting depending on their update cycles. Had a hard time choosing 4 or 5 stars, but decided to go for 5 because of my optimism for this project, plus the dev using a takodachi avatar. WAH!
  14. 5.00 star(s)


    Firts upload of the game gave me many hours of fun and lewd game play, incredible!

    The story, not so original but done in a very good way. The LIs are different but all very sexy and lewd. The sex with is amazing, and there's a lot of it! Very fappable must I admit! :devilish: The graphics are good, well not so original, but very enjoyable. No animations during sex, but I didn't miss that. There's a lot of action instead.

    So all in all, a clear 5* from me. Keep up the good work Dev ! Waiting, eagerly, for next installment. (y)